It's become somewhat of a Tradition these days. Come see Team 'A' play B-Ball, Boo Antoine Walker(who plays on Team 'A'), Drink Beer and Eat 'something', Boo Walker some more...Kind of like a broken record that plays over and over and over and over again with no end in sight(or at least no one to come by and cut off the power, anyway)....You almost have to feel for the guy whose only crime was not fulfilling the "potential" and "unrealistic expectations" that boston fans(and fans in general) demanded. He really is a solid player but these days, just being a "solid player" with the skills that he has is just NOT ENOUGH. Of course, that's not to say that the criticism, vitriol, and booing from Heat Fans isn't well-deserved....But let's look at it from different angles.On the one hand, he has had an AWFUL SEASON thus far, Period. It is perhaps the worst start to a season in his entire career which is saying something considering that he has a career 41% FG percentage. Aside from the starting 5-10 games where he's played "alright" ball, the rest of the way looked like something out of a horror film without the Blood and Gore(though there was plenty of vomit by Heat fans alike when Watching him impersonate a B-Ball player). It always seemed that no matter what he did - whether it was attempting a shot and/or passing the ball - it always ended up being the WRONG PLAY at the WRONG TIME. Even the previous night at home against Memphis when he had 2 point-blank Layups...He missed them both in going 2-8 from the floor and the crowd letting him have it, obviously fed up with his "struggles" this season. In fact, there have been rumors of him being shopped(Maggete, Watson, A.I., etc), though nothing of note has been definite as of yet. All In all, it hasn't been good to be Employee #8 thus far this year.HOWEVER, on the other hand, other factors do appear to have come into play as far as Walker's struggles go. Let's start with the first and perhaps main factor :1.) Shaq's absence. Make No mistake about it. Walker performs very well playing off of Shaq. Sure you can say that for most of the players but for Walker it's become absolutely essential to have Shaq in the lineup for him to truly be effective. Shaq opens up lanes for Walker to drive and prevents opposing defenders from closing in on him, thus making it easier to get to the rim and score(or dump it off to Shaq for a dunk). Not coincidentally, Walker's downward spiral began when Shaq went down and had knee surgery. He got so used to Shaq being there that he wasn't truly prepared to have to deal with all the double-teams and extra-attention once again. Add the fact that he never was a great leaper to begin with(major understatement) and you understand just how imperative having Shaq in there is for Antoine. Plus, with Shaq in there, Walker doesn't have the pressure on him to be the 2nd option(a pressure that has plagued him these days).
2.) New so-called basketball. SHAQ said the ball was garbage...He was right. But also, It is very possible that the B-ball has done more to hurt Walker's game than just about any player in the League today(well there is Ray Allen whose 3pt% is down to 31% from last years 41% but I digress). From someone who has followed Walker's career from his days in Beantown to now, let me tell you that while he's been "mediocre" for the most part throughout his career, he's NEVER EVER been *this* bad and I should know. From the complaints I've heard of how the ball bounces the wrong way, slips out of a players hands too quickly upon shooting, and so forth, it becomes extremely probable that most of Walker's recent issues performance-wise are directly linked to that "Basketball".
3.) Lack of Shot-attempts/Playing Time. Walker said it himself once that he is a "Volume-Shooter" so he needs at least 12-15 shots per game to get into the flow. However, with his struggles, Dorell Wright's emergence, and Riley playing him just a shade over 10 minutes per as of late, he will never get a legit shot at doing this. Now some say this is good but I don't really think it is, actually....'cause now you'd have an expensive bench-warmer just sitting there when he could be out there playing 35 to 40 minutes per and getting you 15-18(maybe 20 if it's a good night) instead. Pat Riley would need to go and Start Antoine at the 4 again full-time if Toine is ever going to get it going once again 'cause as it is right now, there will be no end in sight for those 2-8 nights...
4.) Fans constant booing and heckling. There is no such thing as having a "thick skin". When you're out there trying to do the best job that you can in helping your team and then get booed for your trouble when you "stumble", it's NOT a good feeling at all. And I have no doubt that it affects Antoine. He's the type of player who feeds off the Crowd's electricity but when that Crowd turns against him, and he has no confidence, it makes it even more difficult to get back any "mojo" he has lost. I mean...It's sad, really. Fans have already forgotten how he played a critical role last year in helping the Heat win the title; how his performance against the Nets spelled the difference between advancing to the ECF and Going Home; how his Game 6 Performance(particularly in the 3rd quarter) helped keep the Mavericks at bay in their OWN BUILDING on the way to helping Miami claim its(and his) first Title. It's just not right...but anyway...
Entry 1:
# AcBiSe2, relaxed, DFT PBE-GGA
data_AcBiSe2
_cell_length_a 5.7610
_cell_length_b 5.7610
_cell_length_c 5.2104
_cell_angle_alpha 56.44
_cell_angle_beta 56.44
_cell_angle_gamma 60.00
_space_group_name_H-M_alt 'P 1'
_space_group_IT_number 1
loop_
_space_group_symop_operation_xyz
'x,y,z'
loop_
_atom_site_label
_atom_site_type_symbol
_atom_site_fract_x
_atom_site_fract_y
_atom_site_fract_z
_atom_site_occupancy
Ac1 Ac 0.5000 0.5000 0.5000 1
Se1 Se 0.2352 0.2352 0.2943 1
Se2 Se 0.7648 0.7648 0.7057 1
Bi1 Bi 0.0000 0.0000 0.0000 1
# **Calculated volume**: 115 Å³ per cell
# **Fermi-level density of states**: 2.20 states/eV/f.u.
# **Offset from the most stable computed form**: 44 meV/atom

Entry 2:
# Ac5BiSe4, relaxed, DFT PBE-GGA
data_Ac5BiSe4
_cell_length_a 4.5646
_cell_length_b 6.4584
_cell_length_c 12.0131
_cell_angle_alpha 105.53
_cell_angle_beta 100.95
_cell_angle_gamma 90.00
_space_group_name_H-M_alt 'P 1'
_space_group_IT_number 1
loop_
_space_group_symop_operation_xyz
'x,y,z'
loop_
_atom_site_label
_atom_site_type_symbol
_atom_site_fract_x
_atom_site_fract_y
_atom_site_fract_z
_atom_site_occupancy
Ac1 Ac 0.0000 0.5000 0.0000 1
Ac2 Ac 0.6077 0.1076 0.2155 1
Ac3 Ac 0.1992 0.6992 0.3983 1
Ac4 Ac 0.8008 0.3008 0.6017 1
Ac5 Ac 0.3923 0.8924 0.7845 1
Se1 Se 0.6007 0.6006 0.2015 1
Se2 Se 0.2041 0.2042 0.4082 1
Se3 Se 0.7959 0.7958 0.5918 1
Se4 Se 0.3993 0.3994 0.7985 1
Bi1 Bi 0.0000 0.0000 0.0000 1
# **Calculated volume**: 335 Å³ per cell
# **Fermi-level density of states**: 5.32 states/eV/f.u.
# **Energy**: -5.507 eV/atom

Entry 3:
# Ac3BiSe6, relaxed, DFT PBE-GGA
data_Ac3BiSe6
_cell_length_a 7.5693
_cell_length_b 9.6030
_cell_length_c 9.6030
_cell_angle_alpha 102.78
_cell_angle_beta 90.00
_cell_angle_gamma 90.00
_space_group_name_H-M_alt 'P 1'
_space_group_IT_number 1
loop_
_space_group_symop_operation_xyz
'x,y,z'
loop_
_atom_site_label
_atom_site_type_symbol
_atom_site_fract_x
_atom_site_fract_y
_atom_site_fract_z
_atom_site_occupancy
Se1 Se 0.6868 0.6388 0.6870 1
Se2 Se 0.6905 0.5745 0.0953 1
Se3 Se 0.1868 0.6870 0.6388 1
Se4 Se 0.2346 0.0112 0.9888 1
Se5 Se 0.6372 0.2289 0.7711 1
Se6 Se 0.6868 0.3130 0.3612 1
Se7 Se 0.6905 0.9047 0.4255 1
Se8 Se 0.1372 0.7711 0.2289 1
Se9 Se 0.1868 0.3612 0.3130 1
Se10 Se 0.7346 0.9888 0.0112 1
Se11 Se 0.1905 0.0953 0.5745 1
Se12 Se 0.1905 0.4255 0.9047 1
Ac1 Ac 0.8973 0.6003 0.3997 1
Ac2 Ac 0.9782 0.0837 0.2880 1
Ac3 Ac 0.9782 0.7120 0.9163 1
Ac4 Ac 0.4782 0.9163 0.7120 1
Ac5 Ac 0.4782 0.2880 0.0837 1
Ac6 Ac 0.3973 0.3997 0.6003 1
Bi1 Bi 0.0053 0.1743 0.8257 1
Bi2 Bi 0.5053 0.8257 0.1743 1
# **Calculated volume**: 681 Å³ per cell
# **Fermi-level density of states**: 0.00 states/eV/f.u.
# **Offset from the most stable computed form**: 0 meV/atom

Entry 4:
# Ac4BiSe3, relaxed, DFT PBE-GGA
data_Ac4BiSe3
_cell_length_a 4.5751
_cell_length_b 6.4819
_cell_length_c 9.1700
_cell_angle_alpha 90.00
_cell_angle_beta 90.00
_cell_angle_gamma 90.00
_space_group_name_H-M_alt 'P 1'
_space_group_IT_number 1
loop_
The page goes on
Bottom Line : Whether Antoine is traded this year(doubtful) or not, one thing is for certain. He has done what Riley brought him here to do. He has proven that he CAN be part of a Championship team and win the big one when everyone said he couldn't. So wherever he ends up in the future(whether that's still here in South Beach or in Seattle/Philly/wherever-else), he'll always be able to look himself in the mirror when he wakes up and say "Good Morning, Champ". 'Cause after all, that's what he is.